John Michael Pierobon is an Internet consultant based in Fort Lauderdale.By: John Michael Pierobon
Dear Orange County Commissioners,
There is an urgent need for you to raise the legal age for the sale of tobacco products from 18 to 21. Vaping and other forms of tobacco use by our youth is now a growing epidemic. A study from the University of Michigan and another from the CDC report nearly 40 percent of high school students now say they vape. Youth use of e-cigarettes jumped 78 percent from 2017 to 2018, according to the 2018 National Youth Tobacco Survey.
Someone pasted calculated crystals at this point:
/*
(1)
This record from the Alexandria database describes a relaxed structure of Ba2TlNiP. The functional is PBE.

## Properties
Energy above the lowest structure with this stoichiometry in eV/atom: 0.7581
Energy relative to the elements in meV/atom: 312
Size of the total moment in μB per formula unit: 0.27

a b c (Å): 6.4270 6.4270 4.7216
angles (deg): 90.00 90.00 90.00
Atoms (fractional coordinates):
Ba 0.0000 0.5000 0.0000
Ba 0.5000 0.0000 0.0000
Tl 0.0000 0.0000 0.0000
Ni 0.0000 0.0000 0.5000
P 0.5000 0.5000 0.5000


(2)
This record from the Alexandria database describes a relaxed structure of BaTlNiP. The functional is PBE.

## Properties
Energy relative to the elements in meV/atom: -535
Size of the total moment in μB per formula unit: 0.00

a b c (Å): 4.1881 4.1881 11.9635
angles (deg): 90.00 90.00 90.00
Atoms (fractional coordinates):
Ba 0.2500 0.2500 0.2157
Ba 0.7500 0.7500 0.7843
Tl 0.2500 0.7500 0.5000
Tl 0.7500 0.2500 0.5000
Ni 0.2500 0.7500 0.0000
Ni 0.7500 0.2500 0.0000
P 0.2500 0.2500 0.9154
P 0.7500 0.7500 0.0846


(3)
This record from the Alexandria database describes a relaxed structure of BaZnNiP2. The functional is PBE.

## Properties
Energy relative to the elements in meV/atom: -601
Size of the total moment in μB per formula unit: 0.00

a b c (Å): 6.3144 6.3144 9.0418
angles (deg): 97.31 97.31 37.12
Atoms (fractional coordinates):
Ba 0.1589 0.1589 0.1782
Ba 0.8411 0.8411 0.8218
Zn 0.4484 0.4484 0.3155
Zn 0.5516 0.5516 0.6845
Ni 0.1725 0.1725 0.5728
Ni 0.8275 0.8275 0.4272
P 0.1209 0.1209 0.8113
P 0.3579 0.3579 0.5475
P 0.6421 0.6421 0.4525
P 0.8791 0.8791 0.1887


(4)
This record from the Alexandria database describes a relaxed structure of BaPa2NiS8. The functional is PBE.

## Properties
E_form (uncorrected) in eV/atom: -1.21
Size of the total moment in μB per formula unit: 0.00

a b c (Å): 5.9383 5.9383 8.5384
angles (deg): 90.00 90.00 120.00
Atoms (fractional coordinates):
Ba 0.0000 0.0000 0.0000
Pa 0.3333 0.6667 0.3769
Pa 0.6667 0.3333 0.6231
Ni 0.0000 0.0000 0.5000
S 0.1736 0.3472 0.6576
S 0.1736 0.8264 0.6576
S 0.3333 0.6667 0.0871
S 0.3472 0.1736 0.3424
S 0.6528 0.8264 0.6576
S 0.6667 0.3333 0.9129
S 0.8264 0.1736 0.3424
S 0.8264 0.6528 0.3424


(5)
This record from the Alexandria database describes a relaxed structure of BaPa4Ni3S12. The functional is PBE.

## Properties
E_form (uncorrected) in eV/atom: -1.20
Size of the total moment in μB per formula unit: 1.74

a b c (Å): 8.3826 8.3826 8.3826
angles (deg): 109.47 109.47 109.47
Atoms (fractional coordinates):
Ba 0.0000 0.0000 0.0000
Pa 0.0000 0.0000 0.5000
Pa 0.0000 0.5000 0.0000
Pa 0.5000 0.0000 0.0000
Pa 0.5000 0.5000 0.5000
Ni 0.0000 0.5000 0.5000
Ni 0.5000 0.0000 0.5000
Ni 0.5000 0.5000 0.0000
S 0.1590 0.3209 0.4799
S 0.1590 0.6791 0.8381
S 0.1619 0.8410 0.3209
S 0.3209 0.1619 0.8410
S 0.3209 0.4799 0.1590
S 0.4799 0.1590 0.3209
S 0.5201 0.8410 0.6791
S 0.6791 0.5201 0.8410
S 0.6791 0.8381 0.1590
S 0.8381 0.1590 0.6791
S 0.8410 0.3209 0.1619
S 0.8410 0.6791 0.5201
*/
Here the article continues:
The tobacco industry created this vaping epidemic by actively marketing youth-oriented flavors to children. E-cigarettes are the entry point for adolescent tobacco use because the overwhelming majority of youth who use e-cigarettes have never smoked conventional cigarettes or used other forms of tobacco.
Because their brains are still developing, teenagers are particularly susceptible to the highly addictive properties of nicotine, which are found in all tobacco products.
A study published this year in the journal Pediatrics concluded that adolescents "were unaware of their nicotine exposure." They vape more than one pod, which has the equivalent amount of nicotine as one pack of traditional cigarettes, per day without thinking they are doing damage to their bodies because most youth do not know these products contain known carcinogens and nicotine. Nicotine is poisonous.
Vaping is the new way tobacco companies enslave our innocent and ignorant youth into a lifelong addiction to this poison.
The FDA says the most common way children obtain e-cigarettes is from someone they know. Raising the minimum sales age to 21 ensures that school children do not have schoolmates who can purchase tobacco and e-cigarettes for them. Numerous studies have shown that high school use of tobacco is cut in half where the legal age has been raised to 21.
In 2015, the Institute of Medicine concluded that raising the minimum legal sales age for tobacco products nationwide will reduce tobacco initiation, particularly among adolescents aged 15 to 17, improve health across the lifespan, and save lives. The Institute of Medicine also predicts that raising the minimum legal sales age for tobacco products nationwide to 21 would result in 249,000 fewer premature deaths related to cigarette smoking. It also would result in 286,000 fewer pre-term births and 438,000 fewer babies born with low weights.
Eighteen states and nearly 500 cities and counties across America have already raised the age to 21, because waiting for passage of this life-saving legislation at the federal or state level is like waiting for Godot.
Rep. Donna Shalala's legislative director recently wrote "I would still advise pursuing it at a local and/or state issue. There are a number of reasons for this first is a) we don't know what the final federal legislation might ultimately look like... and b) additional state and local provisions are helpful to bolstering support in Congress."
The Florida Legislature does not meet until next year, and there is little hope of enacting a good, enforceable 21 law at the state level because the Speaker of the Florida House of Representatives has made millions of dollars manufacturing and selling tobacco products.
Legislation has already been written for you. Alachua County Ordinance 2019-04 is a good, enforceable 21 law which has been reviewed by the very competent Alachua County Attorney.
There is overwhelming popular support for this measure. The latest Gallup poll reports 73 percent favor raising the minimum age for purchasing tobacco products to 21.
Therefore, it is up you, Orange County commissioners, to act now to protect our children and save lives. Enact this legislation now.
© 2019 John Michael Pierobon